## Data
+++
The following is a DFT calculation (wB97M-V/def2-TZVPD) of 2 unconnected molecules or ions with the total composition C2H7Br2N2.

```
13
Properties=species:S:1:pos:R:3:forces:R:3:mulliken_spin:R:1
C -0.686674 -0.636260 -0.346526 -1.753 2.407 4.466 0.6923
C 0.416411 0.144253 0.290115 0.789 1.172 -0.153 0.0057
N 0.489436 -1.392300 -1.778307 0.328 -2.563 -0.119 1.2264
N 0.036430 1.206348 1.439843 2.813 0.864 0.265 0.0293
Br -2.117374 0.399490 -1.104502 0.722 -0.440 0.162 0.1001
Br 1.351048 1.371311 -0.849263 0.338 0.476 -1.056 0.0303
H -1.104433 -1.310783 0.456726 0.339 0.030 -1.267 -0.0177
H 1.281821 -0.465480 0.620919 -1.143 0.068 0.538 0.0240
H 0.597311 -2.336944 -1.355769 0.661 0.547 -0.928 -0.0499
H -0.116195 -1.461587 -2.569591 0.180 0.028 -1.408 -0.0300
H -0.458728 0.790723 2.164301 -1.275 -1.378 1.897 -0.0110
H -0.559657 1.944647 1.105963 -0.438 0.373 -0.882 -0.0007
H 0.870604 1.746583 1.926092 -1.562 -1.583 -1.515 0.0011
```
Forces are in eV/Å.

Summary:
charge = +1
2S+1 = 3
E = -5337.46704 a.u.
expectation value of S² = 2.01
orbital gap (alpha / beta) = 7.56 / 7.43 eV
largest force on an atom = 5.4 eV/Å
+++
## To do
Find the line further up that holds "-1.355769 0.661", then set down that line and all lines after it there.
## Solution
H 0.597311 -2.336944 -1.355769 0.661 0.547 -0.928 -0.0499
H -0.116195 -1.461587 -2.569591 0.180 0.028 -1.408 -0.0300
H -0.458728 0.790723 2.164301 -1.275 -1.378 1.897 -0.0110
H -0.559657 1.944647 1.105963 -0.438 0.373 -0.882 -0.0007
H 0.870604 1.746583 1.926092 -1.562 -1.583 -1.515 0.0011
```
Forces are in eV/Å.

Summary:
charge = +1
2S+1 = 3
E = -5337.46704 a.u.
expectation value of S² = 2.01
orbital gap (alpha / beta) = 7.56 / 7.43 eV
largest force on an atom = 5.4 eV/Å